........
[1]
14
Properties=species:S:1:pos:R:3 method="wB97M-V/def2-TZVPD" smiles="C=C(N)OC(C)=O" gap_ha=0.3238
C -0.555 -0.515 -1.042
C -1.131 -0.082 0.155
N -2.425 0.241 0.339
O -0.306 0.233 1.124
C 0.943 0.677 0.089
C 2.099 -0.228 0.393
O 0.964 1.814 -0.247
H -1.093 -0.370 -1.970
H 0.116 -1.359 -1.020
H -3.107 0.037 -0.370
H -2.676 0.830 1.117
H 2.809 -0.183 -0.432
H 2.582 0.154 1.295
H 1.782 -1.251 0.568


[2]
14
Properties=species:S:1:pos:R:3 method="wB97M-V/def2-TZVPD" spin_multiplicity=3 gap_ha="0.2396 / 0.2967"
C -1.453 -1.755 1.659
C 0.248 0.739 -0.209
C 1.744 0.242 -0.159
C -0.391 0.685 -1.601
N -1.602 -0.795 2.380
O -1.174 -2.795 1.227
O -0.464 0.996 0.708
H 2.558 0.826 0.170
H 1.961 0.054 -1.179
H 1.601 -0.663 0.444
H -0.834 -0.195 -1.963
H 0.455 0.871 -2.271
H -1.050 1.599 -1.449
H -1.599 0.192 2.243


[3]
15
Properties=species:S:1:pos:R:3 method="wB97M-V/def2-TZVPD" smiles="O=C[C@@H](C[S-])NC[O-]" charge=-2 gap_ha=0.2127
O -0.618 1.051 -2.197
C -0.014 1.281 -1.181
C -0.105 0.512 0.142
C -1.260 -0.559 0.150
S -2.316 -0.305 1.594
N 1.280 0.199 0.499
C 2.124 -0.579 -0.620
O 3.054 -1.347 -0.059
H 0.603 2.189 -0.974
H -0.397 1.151 0.999
H -0.629 -1.496 0.109
H -1.803 -0.631 -0.800
H 1.302 -0.528 1.212
H 2.581 0.273 -1.152
H 1.323 -1.190 -1.104


[4]
15
Properties=species:S:1:pos:R:3 method="wB97M-V/def2-TZVPD" smiles="CC(C)S(=O)(=O)C#N" gap_ha=0.3658
C 1.316 0.144 1.094
C 0.433 -0.393 0.023
C 0.641 0.336 -1.293
S -1.286 0.054 0.480
O -1.550 -0.160 1.861
O -1.857 1.795 -0.110
C -2.203 -0.982 -0.485
N -2.606 -1.914 -1.019
H 1.474 1.250 1.157
H 0.982 -0.194 2.117
H 2.459 -0.089 0.872
H 0.403 -1.464 -0.100
H -0.215 -0.054 -2.014
H 1.659 0.337 -1.585
H 0.349 1.334 -0.997


The evaluated molecular weight for the records listed, in turn: 101.1, 101.1, 133.2, 133.2 g/mol.
The evaluated energy above the lowest of the compared OMol25 structures with the same formula, charge and spin for the records listed, in turn: 56.6, 2.6, 84.8, 149.7 kcal/mol.

* * * * *

(1)
Molecular formula: C16H13BrN4O2ReS3SbSe4
Method: DFT, the ωB97M-V functional and the def2-TZVPD basis

E_HOMO (spin up / spin down) in eV: -4.60 / -4.68
Largest force on an atom in hartree/bohr: 0.0243
Gap between HOMO and LUMO (spin up / spin down) in eV: 6.06 / 6.07

```
! wB97M-V def2-TZVPD RIJCOSX def2/J DEFGRID3
* xyz -1 2
Re -0.7442 -0.6852 -0.1199
O 3.0120 3.2904 0.0199
C 3.7069 2.1787 -0.2628
C 5.0989 2.2765 -0.2864
C 5.8775 1.1764 -0.5791
C 5.2887 -0.0550 -0.8572
C 3.9131 -0.1585 -0.8328
C 3.1015 0.9404 -0.5334
C 1.6443 0.7683 -0.4969
O 1.1627 -0.4583 -0.6849
N 0.8899 1.7705 -0.1930
N -0.4420 1.3811 -0.0522
C -1.2760 2.3439 0.1679
S -2.9358 1.9919 0.3323
C -3.3879 3.6441 0.8942
C -2.5076 4.6352 0.1617
S -0.7958 4.0260 0.2303
H 2.0578 3.0540 0.0110
H 5.5413 3.2402 -0.0709
H 6.9558 1.2771 -0.5928
H 5.8978 -0.9183 -1.0884
H 3.4295 -1.1007 -1.0475
H -3.2513 3.7033 1.9740
H -4.4427 3.7644 0.6445
H -2.5241 5.6202 0.6269
H -2.8050 4.7194 -0.8828
Se -5.9463 -2.2712 -2.3713
Sb -5.5151 -0.2600 -1.1778
Se -2.4077 -0.7446 -1.6825
Se -5.8396 1.8474 -2.2381
Se -5.4744 -0.2659 1.2115
Br -3.1751 -3.1331 0.9781
C -1.5061 -3.7381 0.3985
C -1.2514 -5.1085 0.4489
C -0.0227 -5.5891 0.0634
C 0.9392 -4.6844 -0.3674
C 0.6137 -3.3486 -0.3936
N -0.5883 -2.8579 -0.0207
H -2.0334 -5.7671 0.7958
H 0.1847 -6.6508 0.0994
H 1.9227 -5.0001 -0.6845
H 1.3265 -2.6133 -0.7297
S -1.2331 -0.7877 4.5238
C -1.2298 -0.7423 2.9250
N -1.2289 -0.7108 1.7397
*
```

Charges per atom according to natural (NBO) partitioning, unit e: Re 1.00; O -0.69; C 0.44; C -0.30; C -0.17; C -0.27; C -0.14; C -0.24; C 0.57; O -0.72; N -0.43; N -0.39; C -0.05; S 0.48; C -0.55; C -0.53; S 0.30; H 0.51; H 0.22; H 0.21; H 0.21; H 0.22; H 0.22; H 0.26; H 0.23; H 0.23; Se -0.67; Sb 1.06; Se -0.20; Se -0.71; Se -0.71; Br 0.20; C 0.15; C -0.25; C -0.15; C -0.27; C 0.07; N -0.48; H 0.24; H 0.22; H 0.22; H 0.23; S -0.14; C 0.23; N -0.66

(2)
Molecular formula: C7H16N
Method: DFT, the ωB97M-V functional and the def2-TZVPD basis
........
Please find the line further up that holds "1.1627 -0.4583", then echo that line and all lines after it there.
O 1.1627 -0.4583 -0.6849
N 0.8899 1.7705 -0.1930
N -0.4420 1.3811 -0.0522
C -1.2760 2.3439 0.1679
S -2.9358 1.9919 0.3323
C -3.3879 3.6441 0.8942
C -2.5076 4.6352 0.1617
S -0.7958 4.0260 0.2303
H 2.0578 3.0540 0.0110
H 5.5413 3.2402 -0.0709
H 6.9558 1.2771 -0.5928
H 5.8978 -0.9183 -1.0884
H 3.4295 -1.1007 -1.0475
H -3.2513 3.7033 1.9740
H -4.4427 3.7644 0.6445
H -2.5241 5.6202 0.6269
H -2.8050 4.7194 -0.8828
Se -5.9463 -2.2712 -2.3713
Sb -5.5151 -0.2600 -1.1778
Se -2.4077 -0.7446 -1.6825
Se -5.8396 1.8474 -2.2381
Se -5.4744 -0.2659 1.2115
Br -3.1751 -3.1331 0.9781
C -1.5061 -3.7381 0.3985
C -1.2514 -5.1085 0.4489
C -0.0227 -5.5891 0.0634
C 0.9392 -4.6844 -0.3674
C 0.6137 -3.3486 -0.3936
N -0.5883 -2.8579 -0.0207
H -2.0334 -5.7671 0.7958
H 0.1847 -6.6508 0.0994
H 1.9227 -5.0001 -0.6845
H 1.3265 -2.6133 -0.7297
S -1.2331 -0.7877 4.5238
C -1.2298 -0.7423 2.9250
N -1.2289 -0.7108 1.7397
*
```

Charges per atom according to natural (NBO) partitioning, unit e: Re 1.00; O -0.69; C 0.44; C -0.30; C -0.17; C -0.27; C -0.14; C -0.24; C 0.57; O -0.72; N -0.43; N -0.39; C -0.05; S 0.48; C -0.55; C -0.53; S 0.30; H 0.51; H 0.22; H 0.21; H 0.21; H 0.22; H 0.22; H 0.26; H 0.23; H 0.23; Se -0.67; Sb 1.06; Se -0.20; Se -0.71; Se -0.71; Br 0.20; C 0.15; C -0.25; C -0.15; C -0.27; C 0.07; N -0.48; H 0.24; H 0.22; H 0.22; H 0.23; S -0.14; C 0.23; N -0.66

(2)
Molecular formula: C7H16N
Method: DFT, the ωB97M-V functional and the def2-TZVPD basis